The Yale College Council began examining the University’s mental health resources at the beginning of this semester, and in light of the death last week of Cameron Dabaghi ’11, reforming the system has emerged as one of the main issues in this year’s YCC elections.
The platforms of all but two of the candidates running for YCC president and vice president include improving mental health counseling. Though Yale University Health Services administrators are already taking steps to expand mental health services this week and are planning for when they move into the new YUHS building this summer, students and the YCC candidates who endorse mental health reform say Yale needs to reduce wait times and improve the quality of counseling at the Department of Mental Hygiene.
“It was always an important issue,” current YCC president Jon Wu ’11 said.
In response to last week’s tragedy, the mental health counseling department will be supplying extra counselors to be on call in the evenings this week and through the weekend, Chief Psychiatrist Lorraine Siggins said, adding that some residential colleges are providing counselors to meet with groups of students as well.
Siggins said 17 to 22 percent of Yale students consult the department each year. Of the 1,316 undergraduates who responded to a YCC policy survey earlier this year, 20 percent said they had used YUHS’s mental health resources.
But the poll also revealed student dissatisfaction with the wait-times for counseling appointments and with the quality of counseling. Of the poll’s respondents, 34 percent said they were able to make an appointment to see a counselor within a week and 16 percent within one to two days, while 29 percent said it was more than two weeks before they were able to have a therapy session.
Siggins said moving into the newly constructed YUHS building at 55 Lock St. this summer will allow the department more capacity to grow. There will be room for all 23 psychiatrists, psychologists and social workers, she said, giving them the ability to offer group therapy sessions, as well as individual sessions and extended counseling hours.
The new building provides the YCC with an opportunity to push policy reforms forward, Wu said. This semester, beyond collecting information on student satisfaction with the department, the YCC has scheduled meetings with Siggins and Yale College Dean Mary Miller to begin discussing their findings. Beyond working with YUHS to bring trained professionals into every residential college and urging Siggins to expand YUHS’s current services, Wu said, the YCC is also discussing a panel for incoming freshmen on Opening Days to alert them to the support resources available to them. YCC may also try to establish a peer counseling program for upperclassmen that is modeled on the freshmen counselor program in conjunction with the Yale College Dean’s Office, Wu added.
But it will be up to next year’s executive board to act on the findings of this year’s YCC. Presidential candidate Pete Croughan ’12, an associate representative on the YCC and co-chair of the Spring Fling Committee, said he thinks decreasing wait times and preventing patients from getting “lost in the system” should be a priority for the administration.
“I think it’s great that it’s in everyone’s platform,” Croughan said, adding that, along with institutional reform, he supports current YCC discussions toward establishing counseling professionals within each residential college.
The YCC’s work on the issue so far shows that students want the scheduling process at YUHS to improve, presidential candidate Jeff Gordon ’12 said.
## Unrelated to this piece: calculated crystals
-- begin --
(1)
Below is crystalline Sr5Ti2N6 at its relaxed geometry, with properties calculated at the meta-GGA r2SCAN level.

Cell: 6.313 6.313 13.596 Å, 100.06 100.06 65.74°
Fractional coordinates of all 26 atoms:
Sr (0.144, 0.856, 0.750)
Sr (0.198, 0.723, 0.998)
Sr (0.223, 0.465, 0.278)
Sr (0.277, 0.802, 0.502)
Sr (0.465, 0.223, 0.778)
Sr (0.535, 0.777, 0.222)
Sr (0.723, 0.198, 0.498)
Sr (0.777, 0.535, 0.722)
Sr (0.802, 0.277, 0.002)
Sr (0.856, 0.144, 0.250)
Ti (0.167, 0.384, 0.571)
Ti (0.384, 0.167, 0.071)
Ti (0.616, 0.833, 0.929)
Ti (0.833, 0.616, 0.429)
N (0.106, 0.318, 0.426)
N (0.123, 0.172, 0.644)
N (0.172, 0.123, 0.144)
N (0.318, 0.106, 0.926)
N (0.431, 0.458, 0.624)
N (0.458, 0.431, 0.124)
N (0.542, 0.569, 0.876)
N (0.569, 0.542, 0.376)
N (0.682, 0.894, 0.074)
N (0.828, 0.877, 0.856)
N (0.877, 0.828, 0.356)
N (0.894, 0.682, 0.574)

Summary:
- density (g cm⁻³) = 4.25
- raw total energy (eV/atom) = -13.296

(2)
Below is crystalline BaTlHg2 at its relaxed geometry, with properties calculated at the meta-GGA r2SCAN level.

Cell: 5.576 5.576 5.576 Å, 60.00 60.00 60.00°
Fractional coordinates of all 4 atoms:
Ba (0.000, 0.000, 0.000)
Tl (0.500, 0.500, 0.500)
Hg (0.250, 0.250, 0.250)
Hg (0.750, 0.750, 0.750)

Summary:
- density (g cm⁻³) = 10.06
- raw total energy (eV/atom) = -45.020

(3)
Below is crystalline P4Se3Br2 at its relaxed geometry, with properties calculated at the meta-GGA r2SCAN level.

Cell: 9.943 9.943 12.686 Å, 107.16 107.16 99.04°
Fractional coordinates of all 36 atoms:
P (0.091, 0.863, 0.870)
P (0.101, 0.146, 0.420)
P (0.137, 0.909, 0.630)
P (0.146, 0.101, 0.920)
P (0.182, 0.644, 0.073)
P (0.215, 0.494, 0.169)
P (0.356, 0.818, 0.427)
P (0.494, 0.215, 0.669)
P (0.506, 0.785, 0.331)
P (0.644, 0.182, 0.573)
P (0.785, 0.506, 0.831)
P (0.818, 0.356, 0.927)
P (0.854, 0.899, 0.080)
P (0.863, 0.091, 0.370)
P (0.899, 0.854, 0.580)
P (0.909, 0.137, 0.130)
Se (0.137, 0.166, 0.255)
Se (0.152, 0.631, 0.314)
Se (0.166, 0.137, 0.755)
Se (0.213, 0.787, 0.750)
Se (0.369, 0.848, 0.186)
Se (0.459, 0.541, 0.250)
Se (0.541, 0.459, 0.750)
Se (0.631, 0.152, 0.814)
Se (0.787, 0.213, 0.250)
Se (0.834, 0.863, 0.245)
Se (0.848, 0.369, 0.686)
Se (0.863, 0.834, 0.745)
Br (0.154, 0.381, 0.540)
Br (0.257, 0.534, 0.924)
Br (0.381, 0.154, 0.040)
Br (0.466, 0.743, 0.576)
Br (0.534, 0.257, 0.424)
Br (0.619, 0.846, 0.960)
Br (0.743, 0.466, 0.076)
Br (0.846, 0.619, 0.460)

Summary:
- density (g cm⁻³) = 3.13
- raw total energy (eV/atom) = -11.907

(4)
Below is crystalline ThCo5 at its relaxed geometry, with properties calculated at the meta-GGA r2SCAN level.

Cell: 4.949 4.949 3.992 Å, 90.00 90.00 120.00°
Fractional coordinates of all 6 atoms:
Th (0.000, 0.000, 0.000)
Co (0.000, 0.500, 0.500)
Co (0.333, 0.667, 0.000)
Co (0.500, 0.000, 0.500)
Co (0.500, 0.500, 0.500)
Co (0.667, 0.333, 0.000)

Summary:
- density (g cm⁻³) = 10.33
- raw total energy (eV/atom) = -23.320

(5)
-- stop --
Though students have said they are usually able to schedule a first appointment, they often wait three or four weeks for follow-up appointments, he said, adding that administrators appear willing to dedicate funds to hire more counselors.
“It’s one of those cases where money is simply the answer,” Gordon said.
Gordon said his focus on counseling stemmed from the YCC’s policy work on mental health this semester but last week’s events gave the issue added relevance.
Presidential candidate Courtney Pannell ’11, who is currently on the YCC project group that is tasked with reforming mental health services, said she has long-standing interest in the topic and that, especially after last week’s events, it makes sense that changing the support system for students would be a prevalent topic. (Pannell is a multimedia editor for the News.)
“Yale is a very high-pressure environment,” she said. “I think we’re all a little stressed to the breaking point.”
Victoria Gilcrease-Garcia ’12, who is running for vice president and works alongside Pannell on the YCC project group charged with examining mental health services, said that in addition to long wait times, Yale’s mental health services suffered from poor communication with students. For instance, she said students do not know that they can switch counselors if they are dissatisfied with their first therapist. The YCC should lobby the administration to provide clearer information about mental health services and funnel more resources into providing specialized services such as counselors for eating disorders and other specific disorders, Gilcrease-Garcia added.
One of the candidates who did not explicitly make mental health a pillar of his platform, Guillermo Peralta ’12, said he built his vice-presidential platform around issues he worked on this past year — such as financial aid and sexual harassment policy — and that mental health was not one of them. But he said he is open to learning more about the issue and participating in reform. The other, Hoan Huynh ’12, who is also in the vice presidential race, said he supports mental health reform and advocates placing a mental health professional in each of the residential colleges, but mental health is not one of his primary platform issues.
Vice presidential candidate Annie Shi ’12 could not be reached for comment Wednesday night.
Meanwhile, individual residential colleges are taking their own steps to support students’ mental health by fostering a sense of community. Jaya Wen ’12, an Ezra Stiles College student activities committee co-chair, said she is working with Stiles Master Stephen Pitti to form a student committee and create programs that might help facilitate a more positive outlook within the college. Stiles students, most of whom live in singles, often feel isolated, Wen said.
“The basic idea stems from the fact that a lot of my friends were dealing with mental health issues, and there was not a system in place to deal with these problems,” she said, adding that the void in services is not necessarily one that can be solved by YUHS, but can be helped by “trying to foster a stronger sense of community, valuing people and enjoying life.”